To do:
Your job: find "-1.72 -0.46" and "-4.61" in the contents underneath, and return these two lines and those between.

Source:
-- begin --
[1]
Formula: C62H172N14O17
Source: the OMol25 dataset
Level of theory: ωB97M-V/def2-TZVPD

Each line ends with the Mulliken spin population.
CARTESIAN COORDINATES (ANGSTROEM)
O: 6.46 -0.01 4.77  0.000
O: -1.72 -0.46 0.35  0.008
O: -2.07 5.59 2.37  0.000
O: 0.08 -4.18 5.36  0.000
O: 6.66 -0.80 -1.06  0.000
O: -5.41 -5.89 -3.70  0.000
O: 5.18 -4.46 1.66  0.000
O: -4.76 0.88 2.68  0.000
O: 5.22 -3.42 -2.86  0.000
O: -6.05 2.41 -2.13  0.000
O: -2.32 -7.06 0.57  0.000
O: 5.40 3.90 2.50  0.000
O: -4.50 -2.99 -3.79  0.000
O: 4.03 3.09 -6.29  0.000
O: -2.06 4.08 -4.51  0.086
O: 0.28 8.45 1.18  0.000
O: 0.51 1.73 3.88  -0.001
N: 1.88 3.11 1.31  0.009
N: -6.93 0.35 0.90  0.000
N: 2.94 0.19 3.65  0.003
N: 1.88 -3.02 2.86  0.003
N: -3.25 -5.00 4.50  0.000
N: 7.87 2.67 0.13  0.000
N: 0.23 1.34 -0.84  0.209
N: 0.48 5.78 1.55  0.000
N: -7.16 -3.70 -4.00  0.000
N: 2.17 -3.36 -5.17  0.000
N: -0.47 0.78 -3.76  0.630
N: -5.33 -6.71 -0.02  0.000
N: 2.01 1.55 -4.83  0.020
N: -1.91 1.87 2.57  0.001
C: 1.26 -0.39 0.50  0.021
C: 0.44 -0.08 -0.75  -0.010
C: -0.42 9.61 1.50  0.000
C: 3.31 3.39 1.27  0.001
C: -2.13 4.32 3.00  0.000
C: -7.22 2.70 0.86  0.000
C: -7.79 -1.49 -4.84  0.000
C: 3.68 -0.96 5.60  0.000
C: -2.81 1.43 -3.81  0.060
C: -3.26 -2.45 -3.29  -0.002
C: -7.17 2.07 -2.96  0.000
C: -0.09 5.31 -0.77  0.006
C: -1.40 1.75 -4.29  -0.044
C: 3.73 4.25 0.06  -0.001
C: -1.38 -5.10 -0.27  0.000
C: -3.04 -0.97 0.46  0.000
C: 7.47 2.06 -2.04  0.000
C: 4.31 2.34 -5.16  0.002
C: 4.25 -4.05 -3.72  0.000
C: 5.09 3.23 -7.20  0.000
C: -3.04 3.09 0.86  -0.001
C: -0.96 -0.83 -0.74  0.005
C: -5.61 -4.44 -0.94  0.000
C: -1.04 3.22 -3.96  0.095
C: -4.76 -0.08 3.75  0.000
C: 3.16 2.25 -4.22  -0.002
C: -1.33 -4.12 5.62  0.000
C: -2.00 -4.39 4.28  -0.001
C: 7.06 1.71 -0.63  0.000
C: 3.37 1.42 -2.92  0.011
C: -0.35 7.66 0.18  0.000
C: 7.33 0.17 -0.29  0.001
C: -4.08 0.71 4.92  0.000
C: -2.19 -3.07 3.50  0.000
C: 5.37 -0.16 3.78  0.000
C: 6.19 4.25 3.62  0.000
C: 0.92 -3.79 6.45  0.000
C: 4.05 3.77 2.64  0.000
C: 6.27 -3.89 0.93  0.000
C: 4.00 -3.53 1.66  -0.001
C: 2.16 -2.83 -2.84  -0.005
C: -1.76 -5.83 0.96  0.000
C: -5.74 -6.02 -1.18  0.000
C: -5.85 1.50 -1.03  0.000
C: 0.14 1.11 5.08  0.001
C: 4.04 0.12 4.57  -0.001
C: 2.89 -4.04 2.69  0.000
C: 7.73 0.21 4.29  0.000
C: -1.92 3.20 1.94  0.004
C: -1.81 4.49 -5.86  -0.002
C: 2.07 -5.28 2.12  0.000
C: -0.28 -0.31 4.93  -0.002
C: 5.21 -0.85 -0.70  0.001
C: -7.09 1.44 -0.03  0.001
C: -6.70 -2.52 -4.73  0.000
C: 3.07 -3.05 -4.04  0.000
C: 6.51 -4.03 -2.91  0.000
C: 0.48 6.33 0.21  -0.002
C: -5.00 -6.54 -2.51  0.000
C: -2.35 6.61 3.27  0.000
C: -4.77 -6.33 -4.90  0.000
C: -5.42 -1.99 -4.04  0.001
H: -2.48 -3.19 -3.09  0.001
H: -5.02 -7.63 -2.45  0.000
H: -2.96 1.67 -2.76  -0.008
H: 1.77 -3.74 -2.39  0.000
H: 4.57 1.36 -5.56  0.000
H: -3.09 4.24 3.50  0.000
H: -3.16 -2.01 0.16  -0.001
H: 4.21 1.89 -2.40  -0.002
H: -0.90 -0.70 5.74  0.000
H: -3.00 6.27 4.08  0.000
H: -3.33 4.04 0.41  0.000
H: -3.60 2.02 -4.27  0.004
H: -4.51 -7.38 -4.96  0.000
H: 3.81 2.46 1.00  0.001
H: 4.50 -1.12 6.30  0.000
H: 6.55 -2.88 1.22  0.000
H: -4.78 1.43 5.35  0.000
H: 2.41 0.74 -5.29  0.000
H: 3.30 3.91 -0.88  0.000
H: 1.39 -1.47 0.57  -0.004
H: 1.46 -5.71 2.92  0.000
H: -8.26 -1.19 -3.90  0.000
H: 7.13 1.31 -2.76  0.000
H: -1.54 3.58 -6.39  0.003
H: 7.82 1.09 3.65  0.000
H: 4.22 -2.48 1.85  0.000
H: 3.30 -4.24 3.68  0.000
H: -7.35 1.00 -2.91  0.000
H: 8.33 -0.14 -0.58  0.000
H: -3.01 0.37 -3.99  -0.011
H: -1.37 7.41 0.47  0.000
H: -3.97 2.69 1.26  0.000
H: -1.17 5.17 -0.67  0.002
H: -1.29 4.29 3.69  0.000
H: 6.53 -5.11 -2.74  0.000
H: 5.46 0.41 2.86  0.000
H: 0.25 4.28 -0.66  -0.010
H: 1.52 6.51 -0.08  0.000
H: 3.42 0.36 -3.16  0.002
H: -6.98 2.43 -3.97  0.000
H: -4.56 -4.24 -0.75  0.001
H: 1.61 -2.52 -5.26  0.000
H: 5.21 2.62 -4.61  0.000
H: 4.10 1.10 5.06  0.000
H: -2.23 -4.77 -0.87  -0.001
H: -6.31 -4.15 -0.16  0.000
H: -2.88 1.74 2.80  0.000
H: 3.79 3.08 3.44  -0.001
H: 3.74 4.74 3.04  0.000
H: 6.01 3.70 4.54  0.000
-- stop --

Done:
O: -1.72 -0.46 0.35  0.008
O: -2.07 5.59 2.37  0.000
O: 0.08 -4.18 5.36  0.000
O: 6.66 -0.80 -1.06  0.000
O: -5.41 -5.89 -3.70  0.000
O: 5.18 -4.46 1.66  0.000
O: -4.76 0.88 2.68  0.000
O: 5.22 -3.42 -2.86  0.000
O: -6.05 2.41 -2.13  0.000
O: -2.32 -7.06 0.57  0.000
O: 5.40 3.90 2.50  0.000
O: -4.50 -2.99 -3.79  0.000
O: 4.03 3.09 -6.29  0.000
O: -2.06 4.08 -4.51  0.086
O: 0.28 8.45 1.18  0.000
O: 0.51 1.73 3.88  -0.001
N: 1.88 3.11 1.31  0.009
N: -6.93 0.35 0.90  0.000
N: 2.94 0.19 3.65  0.003
N: 1.88 -3.02 2.86  0.003
N: -3.25 -5.00 4.50  0.000
N: 7.87 2.67 0.13  0.000
N: 0.23 1.34 -0.84  0.209
N: 0.48 5.78 1.55  0.000
N: -7.16 -3.70 -4.00  0.000
N: 2.17 -3.36 -5.17  0.000
N: -0.47 0.78 -3.76  0.630
N: -5.33 -6.71 -0.02  0.000
N: 2.01 1.55 -4.83  0.020
N: -1.91 1.87 2.57  0.001
C: 1.26 -0.39 0.50  0.021
C: 0.44 -0.08 -0.75  -0.010
C: -0.42 9.61 1.50  0.000
C: 3.31 3.39 1.27  0.001
C: -2.13 4.32 3.00  0.000
C: -7.22 2.70 0.86  0.000
C: -7.79 -1.49 -4.84  0.000
C: 3.68 -0.96 5.60  0.000
C: -2.81 1.43 -3.81  0.060
C: -3.26 -2.45 -3.29  -0.002
C: -7.17 2.07 -2.96  0.000
C: -0.09 5.31 -0.77  0.006
C: -1.40 1.75 -4.29  -0.044
C: 3.73 4.25 0.06  -0.001
C: -1.38 -5.10 -0.27  0.000
C: -3.04 -0.97 0.46  0.000
C: 7.47 2.06 -2.04  0.000
C: 4.31 2.34 -5.16  0.002
C: 4.25 -4.05 -3.72  0.000
C: 5.09 3.23 -7.20  0.000
C: -3.04 3.09 0.86  -0.001
C: -0.96 -0.83 -0.74  0.005
C: -5.61 -4.44 -0.94  0.000
C: -1.04 3.22 -3.96  0.095
C: -4.76 -0.08 3.75  0.000
C: 3.16 2.25 -4.22  -0.002
C: -1.33 -4.12 5.62  0.000
C: -2.00 -4.39 4.28  -0.001
C: 7.06 1.71 -0.63  0.000
C: 3.37 1.42 -2.92  0.011
C: -0.35 7.66 0.18  0.000
C: 7.33 0.17 -0.29  0.001
C: -4.08 0.71 4.92  0.000
C: -2.19 -3.07 3.50  0.000
C: 5.37 -0.16 3.78  0.000
C: 6.19 4.25 3.62  0.000
C: 0.92 -3.79 6.45  0.000
C: 4.05 3.77 2.64  0.000
C: 6.27 -3.89 0.93  0.000
C: 4.00 -3.53 1.66  -0.001
C: 2.16 -2.83 -2.84  -0.005
C: -1.76 -5.83 0.96  0.000
C: -5.74 -6.02 -1.18  0.000
C: -5.85 1.50 -1.03  0.000
C: 0.14 1.11 5.08  0.001
C: 4.04 0.12 4.57  -0.001
C: 2.89 -4.04 2.69  0.000
C: 7.73 0.21 4.29  0.000
C: -1.92 3.20 1.94  0.004
C: -1.81 4.49 -5.86  -0.002
C: 2.07 -5.28 2.12  0.000
C: -0.28 -0.31 4.93  -0.002
C: 5.21 -0.85 -0.70  0.001
C: -7.09 1.44 -0.03  0.001
C: -6.70 -2.52 -4.73  0.000
C: 3.07 -3.05 -4.04  0.000
C: 6.51 -4.03 -2.91  0.000
C: 0.48 6.33 0.21  -0.002
C: -5.00 -6.54 -2.51  0.000
C: -2.35 6.61 3.27  0.000
C: -4.77 -6.33 -4.90  0.000
C: -5.42 -1.99 -4.04  0.001
H: -2.48 -3.19 -3.09  0.001
H: -5.02 -7.63 -2.45  0.000
H: -2.96 1.67 -2.76  -0.008
H: 1.77 -3.74 -2.39  0.000
H: 4.57 1.36 -5.56  0.000
H: -3.09 4.24 3.50  0.000
H: -3.16 -2.01 0.16  -0.001
H: 4.21 1.89 -2.40  -0.002
H: -0.90 -0.70 5.74  0.000
H: -3.00 6.27 4.08  0.000
H: -3.33 4.04 0.41  0.000
H: -3.60 2.02 -4.27  0.004
H: -4.51 -7.38 -4.96  0.000
H: 3.81 2.46 1.00  0.001
H: 4.50 -1.12 6.30  0.000
H: 6.55 -2.88 1.22  0.000
H: -4.78 1.43 5.35  0.000
H: 2.41 0.74 -5.29  0.000
H: 3.30 3.91 -0.88  0.000
H: 1.39 -1.47 0.57  -0.004
H: 1.46 -5.71 2.92  0.000
H: -8.26 -1.19 -3.90  0.000
H: 7.13 1.31 -2.76  0.000
H: -1.54 3.58 -6.39  0.003
H: 7.82 1.09 3.65  0.000
H: 4.22 -2.48 1.85  0.000
H: 3.30 -4.24 3.68  0.000
H: -7.35 1.00 -2.91  0.000
H: 8.33 -0.14 -0.58  0.000
H: -3.01 0.37 -3.99  -0.011
H: -1.37 7.41 0.47  0.000
H: -3.97 2.69 1.26  0.000
H: -1.17 5.17 -0.67  0.002
H: -1.29 4.29 3.69  0.000
H: 6.53 -5.11 -2.74  0.000
H: 5.46 0.41 2.86  0.000
H: 0.25 4.28 -0.66  -0.010
H: 1.52 6.51 -0.08  0.000
H: 3.42 0.36 -3.16  0.002
H: -6.98 2.43 -3.97  0.000
H: -4.56 -4.24 -0.75  0.001
H: 1.61 -2.52 -5.26  0.000
H: 5.21 2.62 -4.61  0.000